The Mayor of Thessaloniki Konstantinos Zervas, the president of KISE and I.K. Thessaloniki David Saltiel and the chairman of the Board of Directors of the Hellenic Holocaust Museum Foundation Yannis Boutaris spoke to journalist Dimitris Lazopoulos about the issue of the solution to the ownership issue that had arisen for the construction of the Holocaust Museum in Thessaloniki. The interview was published on Macedonia of Sunday on 30.8.2020.
Below we republish the statements of the president of KISE:
********
The following is a computed PXRD pattern of Ag17Pd2. It was derived from a crystal structure in Alexandria, relaxed with GGA-PBE, using Cu Kα X-rays.
Neutral-atom scattering factors, no anomalous dispersion.

The 10 most intense peaks (10° ≤ 2θ ≤ 90°), most intense first:
- d = 2.366 Å, rel. 1000
- d = 2.114 Å, rel. 921
- d = 2.145 Å, rel. 529
- d = 2.352 Å, rel. 517
- d = 2.716 Å, rel. 370
- d = 1.358 Å, rel. 335
- d = 2.410 Å, rel. 288
- d = 1.431 Å, rel. 266
- d = 1.327 Å, rel. 224
- d = 1.491 Å, rel. 214

Atomic structure:
```
Ag17Pd2
1.0
4.704 2.716 4.820
-4.704 2.716 4.820
0.000 -5.431 4.820
Ag Pd
17 2
direct
0.000 0.000 0.500 Ag
0.000 0.324 0.676 Ag
0.000 0.500 0.000 Ag
0.000 0.676 0.324 Ag
0.094 0.094 0.094 Ag
0.159 0.658 0.658 Ag
0.324 0.000 0.676 Ag
0.324 0.676 0.000 Ag
0.342 0.342 0.841 Ag
0.342 0.841 0.342 Ag
0.500 0.000 0.000 Ag
0.658 0.159 0.658 Ag
0.658 0.658 0.159 Ag
0.676 0.000 0.324 Ag
0.676 0.324 0.000 Ag
0.841 0.342 0.342 Ag
0.906 0.906 0.906 Ag
0.285 0.285 0.285 Pd
0.715 0.715 0.715 Pd
```

* * * * *

Starting from a GGA-PBE-relaxed structure, the XRD peak list of Hf3Zn3CuNi2 was calculated for Cu Kα X-rays.
No peak broadening, texture or thermal motion is included.

Principal peaks in the range 2θ from 5° to 70°, by angle:
2θ (°)	I/Imax	hkl
37.19	100	1 1 1
40.12	43	2 1 0
40.27	82	2 0 1
45.77	25	3 0 0
55.73	23	3 1 0
62.58	30	3 1 1

Atomic structure:
```
Hf3Zn3CuNi2
1.0
6.867 0.000 0.000
-3.433 5.947 0.000
0.000 0.000 3.404
Hf Zn Cu Ni
3 3 1 2
Cartesian
-2.017 3.494 0.000 Hf
1.416 2.453 0.000 Hf
4.035 0.000 0.000 Hf
-0.895 1.550 1.702 Zn
1.790 0.000 1.702 Zn
2.539 4.397 1.702 Zn
0.000 0.000 0.000 Cu
0.000 3.965 1.702 Ni
3.433 1.982 1.702 Ni
```
********
""The record time has... record years", says the president of KISE and I.K. to "MtK". Thessaloniki Mr. David Saltiel, remembering the first announcement of the project in 2013.
Commenting on the decision of the Municipality, he argues that "if the deed is done, I think it is very important, because we will be able to do everything necessary to get the permit (including reconstruction)" and then draw up the tender documents.
The relocation of the Hellenic Holocaust Museum, from the original construction site to a more central one within the same building block that had been chosen for its construction, was decided by a majority in the early hours of the morning by the municipal council of the municipality of Thessaloniki during a meeting held via video conference.
The decision to relocate to a municipal plot was taken so as not to waste further time regarding the development of the project, as the Museum was planned to be erected in 2013 in the area of the old railway station, on a property owned by GAIAOSE SA, which was leased for this purpose in the Israeli Community of Thessaloniki.
In the course of the implementation of the project, problems arose with its location, with the accessibility of its facilities, but also with the securing of an area for the creation of a parking space, which is a condition for the licensing and operation of the Museum.
Inserted here: crystal structures:
/*
Structure and computed powder XRD pattern of Mg6MnC (the GGA-PBE geometry in the Materials Project; Cu Kα (λ = 1.5418 Å)).

Top 10 peaks for 10° ≤ 2θ ≤ 80°, sorted by position:
Position (°2θ)  I (rel.)
12.52  88
17.03  24
29.11  15
31.94  16
34.45  35
37.35  16
38.18  19
38.99  100
39.34  14
41.31  23

Structure:
Cell lengths 3.052, 7.092, 7.092 Å; angles 85.54, 90.00, 90.00 degrees
Fractional positions:
Mg 0.000 0.000 0.000
Mg 0.000 0.118 0.441
Mg 0.000 0.441 0.118
Mg 0.500 0.308 0.767
Mg 0.500 0.737 0.737
Mg 0.500 0.767 0.308
Mn 0.000 0.493 0.493
C 0.500 0.391 0.391

=====

Structure and computed powder XRD pattern of Mg6MnC (the GGA-PBE geometry in the Materials Project; Cu Kα (λ = 1.5418 Å)).

Top 10 peaks for 10° ≤ 2θ ≤ 80°, sorted by position:
Position (°2θ)  I (rel.)
16.79  21
25.50  20
33.96  26
38.65  35
39.22  100
39.95  47
52.38  14
61.83  15
70.32  16
75.34  16

Structure:
Cell lengths 4.659, 6.004, 6.004 Å; angles 61.56, 90.00, 90.00 degrees
Fractional positions:
Mg 0.000 0.000 0.000
Mg 0.000 0.019 0.504
Mg 0.000 0.495 0.495
Mg 0.000 0.504 0.019
Mg 0.500 0.335 0.835
Mg 0.500 0.835 0.335
Mn 0.500 0.838 0.838
C 0.500 0.346 0.346

=====

Structure and computed powder XRD pattern of Mg6MoC (the GGA-PBE geometry in the Materials Project; Cu Kα (λ = 1.5418 Å)).

Top 10 peaks for 10° ≤ 2θ ≤ 80°, sorted by position:
Position (°2θ)  I (rel.)
16.52  26
18.06  67
25.95  58
35.25  29
36.58  43
37.46  50
38.43  85
41.28  100
53.36  27
70.17  26

Structure:
Cell lengths 4.802, 6.036, 6.036 Å; angles 54.48, 90.00, 90.00 degrees
Fractional positions:
Mg 0.000 0.000 0.000
Mg 0.000 0.001 0.511
Mg 0.000 0.484 0.484
Mg 0.000 0.511 0.001
Mg 0.500 0.352 0.853
Mg 0.500 0.853 0.352
Mo 0.500 0.855 0.855
C 0.500 0.348 0.348

=====

Structure and computed powder XRD pattern of Mg6MoC (the GGA-PBE geometry in the Materials Project; Cu Kα (λ = 1.5418 Å)).

Top 10 peaks for 10° ≤ 2θ ≤ 80°, sorted by position:
Position (°2θ)  I (rel.)
12.11  100
16.44  32
24.36  21
26.36  21
30.83  29
33.22  20
36.18  21
36.91  22
37.64  76
52.16  18

Structure:
Cell lengths 3.160, 7.331, 7.331 Å; angles 85.28, 90.00, 90.00 degrees
Fractional positions:
Mg 0.000 0.000 0.000
Mg 0.000 0.040 0.424
Mg 0.000 0.424 0.040
Mg 0.500 0.250 0.720
Mg 0.500 0.720 0.250
Mg 0.500 0.734 0.734
Mo 0.000 0.425 0.425
C 0.500 0.532 0.532

=====

Structure and computed powder XRD pattern of MgC4N6 (the GGA-PBE geometry in the Materials Project; Cu Kα (λ = 1.5418 Å)).

Top 10 peaks for 10° ≤ 2θ ≤ 80°, sorted by position:
Position (°2θ)  I (rel.)
17.10  25
17.72  53
18.00  98
21.61  100
26.41  42
28.06  96
31.63  18
36.47  34
37.14  29
38.05  21

Structure:
Cell lengths 6.749, 7.210, 7.465 Å; angles 90.00, 90.00, 90.00 degrees
Fractional positions:
Mg 0.000 0.000 0.000
Mg 0.500 0.500 0.500
C 0.223 0.179 0.349
C 0.223 0.179 0.651
C 0.277 0.679 0.151
C 0.277 0.679 0.849
C 0.723 0.321 0.151
C 0.723 0.321 0.849
C 0.777 0.821 0.349
C 0.777 0.821 0.651
N 0.170 0.126 0.208
N 0.170 0.126 0.792
*/
Another step towards the construction of the Holocaust Museum is expected to take place on Monday 24.8.2020 with the filing of a memorandum of cooperation between the central municipality, GAIOSE, and the Israeli Community of Thessaloniki.
The object of this memorandum is the location of the Holocaust Museum of Greece on the property of GAIAOSE S.A. within the Municipality of Thessaloniki. In more detail, the memorandum allows the relocation of the initial construction point of the project to a more central point in order, as the municipality notes, to give the building additional dynamics, but also to solve problems, such as accessibility and the creation of the parking space, which is a prerequisite for the licensing and operation of the Museum.
This displacement presupposes, as stated in the relevant description, the use of a surface area of approximately 10 acres of public space owned by the Municipality of Thessaloniki.
Ο mayor had announced the solution proposed by the memorandum, stating at the beginning of June in his presentation to the municipal council: "It seems that we are moving forward with a solution with the utilization of a neighboring property of the municipality, so that the Holocaust Museum with the shortest possible procedures can start and it also has the necessary space for its construction and for any other functions, such as parking, traffic regulations" (see HERE).
What comes next are records of crystals, not part of the piece:
'''
Structure and computed powder X-ray diffraction pattern of CuAsF6 (a crystal structure in OQMD, relaxed with PBE; Cu Ka).
Neutral-atom scattering factors, no anomalous dispersion.

abc: 7.582 7.582 7.582
angles: 109.47 109.47 109.47
Atoms (fractional coordinates):
1 Cu 0.000 0.000 0.000
2 Cu 0.000 0.500 0.500
3 Cu 0.500 0.000 0.500
4 Cu 0.500 0.500 0.000
5 As 0.000 0.000 0.500
6 As 0.000 0.500 0.000
7 As 0.500 0.000 0.000
8 As 0.500 0.500 0.500
9 F 0.025 0.943 0.716
10 F 0.057 0.284 0.975
11 F 0.082 0.525 0.810
12 F 0.190 0.918 0.475
13 F 0.216 0.273 0.690
14 F 0.227 0.443 0.418
15 F 0.273 0.690 0.216
16 F 0.284 0.975 0.057
17 F 0.310 0.784 0.727
18 F 0.418 0.227 0.443
19 F 0.443 0.418 0.227
20 F 0.475 0.190 0.918
21 F 0.525 0.810 0.082
22 F 0.557 0.582 0.773
23 F 0.582 0.773 0.557
24 F 0.690 0.216 0.273
25 F 0.716 0.025 0.943
26 F 0.727 0.310 0.784
27 F 0.773 0.557 0.582
28 F 0.784 0.727 0.310
29 F 0.810 0.082 0.525
30 F 0.918 0.475 0.190
31 F 0.943 0.716 0.025
32 F 0.975 0.057 0.284

Main lines, in order of rising 2θ (10° ≤ 2θ ≤ 90°):
- 28.84 deg, intensity 1000
- 38.47 deg, intensity 73
- 41.25 deg, intensity 52
- 43.87 deg, intensity 41
- 48.79 deg, intensity 51
- 51.11 deg, intensity 478
- 59.75 deg, intensity 203
- 67.68 deg, intensity 211
- 75.19 deg, intensity 39
- 82.44 deg, intensity 176
'''
"I feel both French and Thessalonian and therefore a citizen of the world. Let us never forget these roots, let us never forget these great men, like Moses Allatini, who defended and fought for the city, the country and the culture for all". With these words, Laurent Dassault, the businessman of the famous Dassault dynasty, expressed his emotion during the unveiling of the bust of his ancestor, Moses Allatini, which now adorns the gardens of Bila Allatini, where the seat of the Central Macedonia Region is housed. The bust, which is made of bronze and is the work of the sculptor Dina Anastasiadou, is a donation of the French businessman himself.
"I came in 2012 to Thessaloniki to inaugurate with my mother, my brothers and sisters the great hall of the French Institute which was renamed Dassault-Allatini, to honor my family's origins in this city. I return today with emotion to pay tribute to this amazing man, this humanist you all know, Moses Allatini.
"It is an extremely important initiative for Greece, for the city of Thessaloniki, given the central role that the Jewish community has played in the history of Thessaloniki," said US Ambassador to Greece Jeffrey Pyatt about the Holocaust Museum project, which is to be to be erected in Thessaloniki.
Mr. Payat met, on the afternoon of Thursday 9.7.20, at the Jewish Museum of Thessaloniki, with the president of the Central Jewish Council of Greece and the Israeli Community of Thessaloniki, David Saltiel, and also with the president of the board of directors of the Holocaust Museum Foundation, former mayor Thessaloniki Yiannis Boutaris and was informed about the various issues related to the implementation of the project. The US consul general in Thessaloniki, Greg Flegger, was also present at the meeting.
In his statements to the Athenian/Macedonian News Agency, after the end of the meeting, the American ambassador underlined the importance of implementing the project, stated that he was happy that the Deputy Prime Minister Panagiotis Pikrammenos has taken a leading role in this project and expressed the certainty that there will be very strong collaboration between the Holocaust Museum in Washington and the Museum to be built in Thessaloniki.